(Source)
=====
## MnZnNi3 (GGA-PBE)

Data for a geometry-optimized MnZnNi3 structure.

Computed properties:
For the total energy, the calculation gives -5.416 eV/atom. The calculated formation energy comes out at 0.7 eV per formula unit. Its space-group type is Cmcm, No. 63. The calculation puts the energy above the lowest structure with this stoichiometry at 0.2169 eV per atom. The value obtained for the density of states at the Fermi level is 0.9594 states/eV/atom.

abc: 6.4921 6.4921 4.5559
angles: 90.00 90.00 135.52
Fractional positions:
Mn 0.1414 0.8586 0.7500
Mn 0.8586 0.1414 0.2500
Zn 0.5000 0.5000 0.0000
Zn 0.5000 0.5000 0.5000
Ni 0.0967 0.4190 0.7500
Ni 0.3242 0.6758 0.2500
Ni 0.4190 0.0967 0.2500
Ni 0.5810 0.9033 0.7500
Ni 0.6758 0.3242 0.7500
Ni 0.9033 0.5810 0.2500
=====

(Request)
Next, return only the last part of the rows further up, starting with the line that has "geometry-optimized MnZnNi3".

(Reply)
Data for a geometry-optimized MnZnNi3 structure.

Computed properties:
For the total energy, the calculation gives -5.416 eV/atom. The calculated formation energy comes out at 0.7 eV per formula unit. Its space-group type is Cmcm, No. 63. The calculation puts the energy above the lowest structure with this stoichiometry at 0.2169 eV per atom. The value obtained for the density of states at the Fermi level is 0.9594 states/eV/atom.

abc: 6.4921 6.4921 4.5559
angles: 90.00 90.00 135.52
Fractional positions:
Mn 0.1414 0.8586 0.7500
Mn 0.8586 0.1414 0.2500
Zn 0.5000 0.5000 0.0000
Zn 0.5000 0.5000 0.5000
Ni 0.0967 0.4190 0.7500
Ni 0.3242 0.6758 0.2500
Ni 0.4190 0.0967 0.2500
Ni 0.5810 0.9033 0.7500
Ni 0.6758 0.3242 0.7500
Ni 0.9033 0.5810 0.2500